Even though this thread hasn't been commented on in a long time I'm going to try and see if I can apply this to a recent incident with my uBPD mom:

Workshops are always live. We can't switch of the warning that comes up when no one has posted for a while selectively on this board. Good to see that you jumped in

Situation: I am invited for dinner and arrive a bit early. It's her and me alone, she doesn't really engage with me except to say oh, it's you, so I respond with a "hello, how was your day today?", she shows me the stuff she bought when she went shopping, and I tell her it looks very nice, then sensing she is not in a good mood I go write an email. Within minutes she barks out at me from the kitchen to do a chore (to which I respond I'm writing an email), she then pokes her head out (seems she doesn't trust that I'm doing that) and she sees me using her computer and tells me I better not log her out of her computer account because when I did it four months ago to use my own account she couldn't remember her password and it took some effort to get her password back.
So here we go:
caughtnreleased, go do x for me
_Inserted here: molecular data_
┌──
Formula: C66H79N4O
Source: the OMol25 dataset
Level of theory: the ωB97M-V functional and the def2-TZVPD basis

## Properties
* orbital gap: 3.6 eV
* net charge: +1
* HOMO level: -8.240 eV
* energy above the lowest of the compared OMol25 structures with the same formula, charge and spin: 0.000 eV
* spin multiplicity: 1
* lowest unoccupied orbital energy: -4.61 eV

XYZ file:
```
150
Properties=species:S:1:pos:R:3:forces:R:3:mulliken_charge:R:1
C 8.0169 6.3248 -2.6810 -0.048 0.089 0.434 -1.05
N 7.6138 5.3692 -3.6819 0.335 -0.015 -0.977 0.37
C 8.1696 5.3585 -4.9360 0.695 0.866 0.511 0.22
O 9.0631 6.1040 -5.3307 -1.328 -1.233 0.306 -0.67
C 7.5127 4.2188 -5.7161 -0.071 0.758 -0.425 0.19
C 8.5826 3.2510 -6.2196 0.279 -0.159 0.104 -1.43
C 9.2751 2.5907 -5.0517 0.335 -0.341 -0.099 0.32
C 10.3495 3.2204 -4.4057 -0.217 -0.059 0.092 -0.27
C 10.8348 2.7067 -3.2011 -0.152 -0.107 -0.051 -0.60
C 10.2755 1.5424 -2.6595 -0.152 0.110 -0.154 -0.54
C 9.2804 0.8547 -3.3649 0.082 0.069 -0.043 -0.62
C 8.8090 1.3612 -4.5783 0.035 0.261 0.372 -0.15
N 6.5645 3.6724 -4.7355 -1.747 -1.704 -0.505 0.63
C 5.7360 2.6370 -4.9650 1.924 1.277 0.021 -0.29
C 4.7475 2.1823 -4.0828 -1.032 -1.015 0.804 0.07
C 3.9798 1.0575 -4.4054 1.231 1.543 -0.807 -0.47
C 2.7432 0.6019 -3.8714 -1.018 -0.551 0.766 0.95
C 1.9875 -0.3494 -4.6171 0.663 0.410 0.060 -0.63
C 0.7792 -0.8338 -4.1539 -0.289 -0.001 0.232 -0.84
C 0.2696 -0.3844 -2.9257 0.428 0.212 -0.179 -0.39
C 0.9673 0.5925 -2.1978 0.275 0.173 -0.123 -0.54
C 2.1942 1.0772 -2.6494 -0.155 -0.200 -0.459 -0.37
C 6.4525 4.5140 -3.5284 0.897 0.141 0.294 -1.29
C 5.1656 5.2563 -3.4460 -0.417 0.620 -0.266 -0.68
C 4.7754 6.1835 -4.3409 0.411 -0.535 0.706 -0.11
C 3.4706 6.8203 -4.2841 -1.318 0.771 -0.001 0.72
C 3.1631 7.9333 -5.1069 0.092 -0.613 0.459 -0.42
C 1.9149 8.5518 -5.0323 -0.223 -0.148 0.220 -0.56
C 0.9404 8.0839 -4.1346 0.539 -0.074 -0.098 -0.42
C 1.2328 6.9827 -3.3183 0.121 0.012 -0.105 -0.69
C 2.4709 6.3464 -3.4022 0.053 0.337 -0.355 -0.35
H 8.8679 6.8897 -3.0624 -0.135 -0.115 -0.036 0.37
H 7.2011 7.0128 -2.4434 0.053 -0.020 -0.050 0.32
H 8.3156 5.8048 -1.7649 -0.021 0.052 -0.089 0.36
H 6.9504 4.6707 -6.5562 0.245 -0.270 0.261 0.30
H 8.1180 2.5130 -6.8837 0.226 0.097 0.005 0.52
H 9.3097 3.8584 -6.7775 -0.364 -0.165 -0.077 0.57
H 10.7865 4.1225 -4.8475 -0.227 -0.275 0.275 0.41
H 11.6347 3.2341 -2.6758 -0.226 -0.251 -0.182 0.40
H 10.6113 1.1747 -1.6881 -0.045 0.059 -0.350 0.40
H 8.8524 -0.0691 -2.9705 0.250 0.235 -0.090 0.41
H 8.0575 0.8185 -5.1601 0.165 0.123 0.287 0.41
H 5.8954 2.1447 -5.9348 -0.142 0.118 0.458 0.46
H 4.5664 2.7121 -3.1384 -0.004 -0.100 -0.626 0.22
H 4.3611 0.5176 -5.2756 -0.355 0.035 -0.028 0.39
H 2.3762 -0.6542 -5.5924 -0.135 -0.079 0.343 0.35
H 0.2186 -1.5578 -4.7490 0.200 0.229 0.231 0.40
H -0.6688 -0.7823 -2.5376 0.224 0.140 -0.123 0.55
H 0.5469 0.9983 -1.2771 0.132 -0.256 -0.274 0.32
H 2.7264 1.8397 -2.0783 -0.163 -0.260 -0.069 0.41
H 6.5573 3.8903 -2.6282 0.160 -0.047 -0.249 0.64
└──
Me: just a minute I am finishing writing an email.
Don't you mess up my account again
S: I want the time we spend together to be pleasant for both of us.
E: I understand you are feeling stressed, that you feel like you are the only one doing the work in the kitchen and that my using your computer is bothering you. (of course she keeps complaining about how she does all the work in the kitchen but cannot actually STAND anyone doing anything other than cleaning up after her)
(Molecular data that have nothing to do with the article)
/*
No. 1
# C4H7NO2

A structure of composition C4H7NO2 (ωB97M-V/def2-TZVPD, the OMol25 dataset).

Last column: natural (NBO) charge in e.
CARTESIAN COORDINATES (ANGSTROEM)
C: -2.534 0.197 -0.253  -0.331
C: -0.741 -0.574 -0.037  0.398
N: -0.744 0.724 -0.025  -0.762
O: 0.360 -1.314 0.263  -0.513
C: 1.550 -0.630 0.660  -0.210
C: 2.177 0.139 -0.491  0.412
O: 2.573 1.276 -0.397  -0.512
H: -3.053 -0.609 0.263  0.205
H: -2.910 1.167 0.079  0.184
H: -2.599 0.088 -1.330  0.218
H: 0.038 1.346 0.237  0.369
H: 1.379 0.045 1.505  0.199
H: 2.241 -1.423 0.965  0.224
H: 2.263 -0.432 -1.439  0.120

* total charge: 0
* ΔE to the lowest compared entry with this formula, charge and spin: 148.0 kcal/mol
* E_LUMO: 0.6 eV
* E: -361.6450 Ha
* orbital gap: 8.71 eV
* F_max: 0.6 eV/Å

No. 2
# C4H7NO2

An isolated molecule of C4H7NO2 at a distorted geometry (ωB97M-V/def2-TZVPD, the OMol25 dataset).

Last column: natural (NBO) charge in e.
CARTESIAN COORDINATES (ANGSTROEM)
O: -0.643 -0.206 -1.905  -0.621
C: -1.337 -0.483 -0.871  0.371
C: -0.738 -1.114 0.486  -0.463
C: -0.503 0.729 0.591  -0.212
N: 0.963 0.783 0.535  -0.661
C: 1.716 0.365 -0.625  0.520
O: 2.856 -0.132 -0.536  -0.587
H: -2.369 -0.181 -0.656  0.135
H: 0.134 -1.859 0.348  0.251
H: -1.462 -1.492 1.209  0.214
H: -0.794 0.722 1.675  0.236
H: -0.815 1.496 -0.094  0.260
H: 1.499 0.463 1.436  0.398
H: 1.492 0.910 -1.591  0.159

* total charge: 0
* ΔE to the lowest compared entry with this formula, charge and spin: 107.6 kcal/mol
* E_LUMO: 0.6 eV
* E: -361.7095 Ha
* orbital gap: 9.80 eV
* SMILES: O=CCCNC=O
* F_max: 5.9 eV/Å

No. 3
# C4H7NO2

A structure of composition C4H7NO2 (ωB97M-V/def2-TZVPD, the OMol25 dataset).

Last column: natural (NBO) charge in e.
CARTESIAN COORDINATES (ANGSTROEM)
O: 2.138 0.196 0.861  -0.687
C: 0.757 0.160 1.023  -0.062
C: -0.063 1.209 0.351  -0.045
N: -1.140 0.608 -0.244  -0.418
C: -1.156 -0.725 -0.065  -0.256
C: 0.100 -1.139 0.505  0.474
O: 0.661 -2.218 0.612  -0.584
H: 2.395 -0.743 0.805  0.495
H: 0.467 0.194 2.096  0.211
H: 0.172 2.244 0.133  0.237
H: -0.196 0.281 -3.230  -0.003
H: -1.472 1.402 0.553  0.417
H: -0.717 -0.142 -2.910  0.000
H: -1.945 -1.328 -0.490  0.220

* total charge: 0
* ΔE to the lowest compared entry with this formula, charge and spin: 125.8 kcal/mol
* E_LUMO (alpha / beta): -0.4 / -0.4 eV
* E: -361.6805 Ha
* orbital gap (alpha / beta): 8.13 / 8.13 eV
* F_max: 0.4 eV/Å

No. 4
# C4H7NO2

An isolated molecule of C4H7NO2 (ωB97M-V/def2-TZVPD, the OMol25 dataset).

Last column: natural (NBO) charge in e.
CARTESIAN COORDINATES (ANGSTROEM)
H: 1.551 0.342 -1.772  0.353
N: 1.062 -0.272 -1.125  -0.722
C: 0.772 0.343 -0.056  0.573
C: 1.016 1.791 0.282  -0.702
O: 0.106 -0.287 0.944  -0.504
C: -0.578 -1.470 0.553  -0.194
C: -1.792 -1.053 -0.260  0.429
O: -2.426 -1.784 -0.974  -0.500
H: 2.084 2.012 0.351  0.236
H: 0.592 2.411 -0.514  0.235
H: 0.531 2.050 1.224  0.238
H: 0.054 -2.149 -0.024  0.235
H: -0.904 -1.953 1.479  0.219
H: -2.066 0.017 -0.106  0.104

* total charge: 0
*/
(Back to the article)
T: I came over for dinner because I would like to see you and spend time with the family. However it is difficult when you only engage with me by asking me to do house chores or to tell me that you don't seem to trust me using your computer. Please explain to me what it is that is bothering you and how we can fix it so that we can spend a pleasant evening together.
Hmm, you are getting YOUR point across. But is this SET and is SET the best approach here?
Is is SET? A good test is the use of "I". In SET one should try to avoid using "I" at all - avoid in ST and totally avoid in E - a good way to do this is to start without worrying about it and then REFORMULATING it without using "I". Doing that helps us shifting perspective from "I" to "YOU". Also When looking at T it is a bit long and is explaining a lot. When one explains one is often taking a defensive stance and easily falls into JADE. A good emotional mindset for SET is not defensive but balanced - we have nothing to fear - facts stand by themselves - we are not emotionally involved. This is important as we communicate our mental mindset with posture and tone of voice quite loudly - no matter what words we use. Here is a slightly better version - still not perfect:
S: I'll explain
-- begin --
[1]
The following is a quantum chemistry calculation of C23H17AsN10O2S6SeSn as an isolated structure, from the OMol25 dataset.

Relative energy (zero: lowest compared OMol25 entry of this formula, charge and spin) ... 11.3 kcal per mole
HOMO ... -1.6 eV
Kohn-Sham gap ... 5.4 eV
Electronic energy ... -240156.2004 eV

```
! RIJCOSX wB97M-V def2-TZVPD def2/J DEFGRID3
* xyz -2 1
Sn -0.6037 -0.0996 -0.5274
O 4.3209 -0.8279 -0.5457
C 3.1325 -0.7366 -0.2207
N 2.0561 -1.0556 -0.9637
C 2.1547 -1.9448 -1.9890
O 2.8493 -2.9527 -2.0440
C 1.2575 -1.6359 -3.1762
C 0.7443 -2.6740 -3.9418
C -0.0848 -2.3664 -5.0041
C -0.3464 -1.0351 -5.2918
C 0.2297 -0.0658 -4.4912
N 1.0115 -0.3545 -3.4508
C 2.8630 -0.1275 1.1375
C 3.4029 -0.7162 2.2757
C 3.1925 -0.1095 3.5000
C 2.4738 1.0773 3.5493
C 1.9820 1.5912 2.3603
N 2.1635 1.0053 1.1776
H 0.9832 -3.6923 -3.6696
H -0.5426 -3.1539 -5.5905
H -1.0128 -0.7573 -6.0974
H 0.0445 0.9914 -4.6583
H 3.9660 -1.6366 2.1891
H 3.5726 -0.5566 4.4111
H 2.2781 1.5814 4.4866
H 1.4020 2.5095 2.3507
N 2.2724 2.2389 -2.2229
C 1.3706 2.9708 -1.5158
N 0.1152 2.6793 -1.4171
C -0.5782 3.5977 -0.6607
C 0.1602 4.6396 -0.1989
S 1.8018 4.4832 -0.7238
C -1.9858 3.3068 -0.3333
C -2.7898 4.0777 0.4401
S -4.3219 3.3098 0.6642
C -3.7524 1.9566 -0.3225
N -2.5396 2.1159 -0.7608
N -4.5530 0.9111 -0.6135
H 1.8951 1.3261 -2.4872
H 3.2097 2.2038 -1.8562
H -0.1373 5.4643 0.4297
H -2.5686 5.0247 0.9059
H -5.2960 0.6827 0.0238
H -4.0603 0.0997 -1.0080
S -5.2613 -3.2831 -1.2562
As -3.1797 -3.4813 -0.9921
S -2.3787 -1.4176 -1.6912
S -2.9807 -3.3175 1.3544
S -1.2070 -4.2162 1.6464
Se -2.4625 1.1682 3.4181
N -1.6735 -0.0382 4.5114
C -1.0643 -0.8960 3.7603
C -0.2196 -1.9773 4.2257
C 0.3533 -2.7655 3.3098
C 0.0508 -2.6588 1.8593
N -0.5250 -1.4667 1.4042
C -1.1562 -0.6952 2.3034
N -1.8513 0.3623 1.9260
H -0.0476 -2.1029 5.2875
H 1.0177 -3.5690 3.6096
H 0.8531 -2.9913 1.2049
*
```

Atomic partial charges in e from the Löwdin method, atoms 1 to 8:
1. Sn 0.99
2. O 0.02
3. C -0.50
4. N 0.07
5. C -0.47
6. O 0.05
7. C -0.23
8. C -0.01

=====

[2]
The following is a quantum chemistry calculation of a 3-piece molecular cluster, C4H15N2O2 overall, from the OMol25 dataset.

Relative energy (zero: lowest compared OMol25 entry of this formula, charge and spin) ... 35.6 kcal per mole
HOMO ... -12.8 eV
Kohn-Sham gap ... 9.8 eV
Electronic energy ... -11459.7117 eV

```
! RIJCOSX wB97M-V def2-TZVPD def2/J DEFGRID3
* xyz 1 1
C -1.6903 1.5607 -1.6154
C -1.0510 1.2812 -0.2004
C 0.1751 0.4069 -0.2820
C 1.3784 0.9774 -0.4331
N 2.6327 0.2046 -0.3151
N -0.0151 -0.9592 -0.1068
H -1.0281 1.1382 -2.3803
H -2.5659 0.9194 -1.6854
H -1.8916 2.5913 -1.8757
H -0.9495 2.2229 0.3400
H -1.8240 0.7228 0.3119
H 1.4621 2.0219 -0.6819
H 3.3610 0.9116 -0.2581
H 2.7980 -0.3706 -1.1382
H 2.6918 -0.3937 0.5198
H -0.1205 -1.5318 -0.9298
H -0.6410 -1.2094 0.6506
H 1.9127 -1.1832 2.6079
H 1.9301 -2.5213 1.9314
O 2.3542 -1.6533 1.8860
H -3.3745 -1.0614 1.4820
H -2.9050 -2.4905 1.0509
O -2.6396 -1.5846 1.1217
*
```
-- stop --
E: You are worried about being locked out of the internet. Remembering passwords sucks.
T: It is a high priority email that must be sent today. I estimate to be finished in 10min and I promise NOT to to log you out.
Now is SET the right approach here at all? Not sure - there are not much facts to convey. Your mother has had a bad experience in the past, afraid of being locked out of the computer and is now panicking. Signaling that this concern has been heard may well have been enough. A validating response could have been:
V: Oh, being locked out of your own computer! Would not like that either, sorry about when it happened. Will take care it will NOT happen this time. Thanks for letting me use your computer, it is really important.
This takes care of her fears and possibly her resentment of you using her computer and not helping her (in my experience mothers have a knack of wanting to be helped but are really bad of letting themselves helped).
I don't know if this will change the way she interacts, because this type of behavior is the norm, but I do see the value in confronting the behavior rather than the person.
Validation is about confronting emotions and strikes at the heart of dysregulation which is root of less than rational behavior.
Boundaries is about protecting of abusive behavior (straight confronting behavior is usually controlling and leads to blow-ups. When confronting behavior it should be framed in DEARMAN)
In the meantime, I need to also process my own hurt towards her for the many many years of being picked on, which I have to say diminishes my capacity to use these types of tools because I do harbor resentment. But I certainly will try it.
This is really the hardest part. Validation and SET requires you to see the others emotional side as it is. But it is virtually impossible to do that while you feel strong resentment - resentment is a strong emotions that is painful, distracting and distorting your view. Your awareness of your own issues is commendable

and will be a good guide moving forward.